Literature Review Estimating Goldfelds Conventional Money Demand Function Using Ridge Regression.

I. Introduction

Problem of multicollinearity arising from the nature of economic models and data often result in highly unstable and unrealistic estimates of structural parameters, especially if one is restricted to unbiased estimators such as OLS. If this problem is resolved by deleting important variables from the models, one risks a serious omitted-variables-specification bias Brown and Beattie, 1975. Ridge regression has been known and developed as an alternative prediction method to ordinary least squares regression OLS in cases where there is a high degree of multicollinearity among the predictor variables. If the mean square error MSE criterion is used as a measure of accuracy, there always exists a more accurate “ridge regression” estimate than the unbiased OLS estimate, as shown by Hoerl and Kennard 1970a, pp.61-63. Estimating Goldfeld’s conventional money demand function is an area where there is a high degree of overlap among the predictor variables and should thus be an excellent area to apply ridge regression instead of the usual OLS regression used Tracey and Sedlacek, 1983. It has long been recognized that multicollinearity does not hinder and sometimes aids in forecasting as long as the multicollinearity remains in the forecast period. However, in a demand for money equation with several interest rate, a changing term structure may alter the multicollinearity pattern. In such circumstances, ridge estimates which are less affected by multicollinearity may provide better forecasts than OLS estimates Watson and White, 1976. Obtaining valid prediction equations in this area is often difficult because the high degree of multicollinearity tends to create very different prediction equations from year to year. Thus the process of validating these equations typically involves collecting very large samples over many years. Ridge regression has been found to be most effective in exactly these cases. Ridge regression should result in more stable equations with high multicollinear data, and thus, should be more valid using smaller samples than typically required by least squares method. The purpose of this study was to examine the efficacy of ridge regression over ordinary least squares regression in Goldfeld’s conventional money demand function. This study has two aims : 1. To propose a test of the ability of the ridge regression to forecast. 2 To show that the coefficients of the ridge regression statistically are not different as the OLS coefficients.

II. Literature Review

Some research about the use of Ridge regression had been conducted over the years. According to Darlington 1978 and Faden 1978, Ridge regression was developed to be used in exactly these situations of high multi collinearity. Overall, the OLS and Ridge Regression procedures are identical except that in ridge regression, a small constant is added to the main diagonal of the variance-covariance matrix prior to the determination of the regression equation. This adding of the constant creates a ridge on the main diagonal, hence the name. Adding this ridge is an artificial means of decreasing the relative amount of collinearity in the data. The determination of the specific constant =delta that is added to the matrix is determined by using an iterative approach; selecting the delta value that results in the lowest total mean square error for the prediction equation. Consider the normal linear regression model : Y = X β + ε ………………….1 Where y is n x1 vector of dependent variable, X is an n x p matrix of explanatory variables and ε is an n x 1 vector of disturbances, distributed as ε ∼ N0, 2 I n . The p x 1 parameter vector is assumed unknown and to be estimated by the data, y and X. It is well known that the ordinary least squares OLS estimator for is given by : b = X’X -1 X’y ………………….2 Under the model assumptions, the OLS estimator is the best linear unbiased estimator by the Gauss- Markov Theorem. However, comparing it with non linear or biased estimators, the OLS estimator may perform worse in particular situations. One of these is the case of near multicollinearity, where the matrix X’X is nearly singular. In that situation, the variance of b, given by 2 X’X -1 , can be very large. A biased estimator with less dispersion may in that case be more efficient in terms of the mean squared error criterion. This is the basic idea of ridge and shrinkage estimators, which were introduced by Hoerl and Kennard 1970 for the above regression model. Grob 2003 gives an excellent surveys of alternatives to least squares estimation such as ridge estimators and shrinkage estimators. He gives a possible justification that the addition of matrix kI p where k is scalar to X’X yields a more stable matrix X’X to kI p and that the ridge estimator of , β = X’X + kI p -1 X’y …………………..3 Var-Cov β = 2 X’X + k λ -1 X’X X’X+k λ -1 Where λ is a diagonal matrix of order p consisting of the sums of squares. The ridge estimator of β should have a smaller dispersion or variance than the OLS estimator. To discuss the properties of the ridge estimator, one usually transforms the above linear regression model to a canonical form where the X’X matrix is diagonal. Let P denote the orthogonal matrix whose columns are the eigen vectors of X’X and let be the diagonal matrix containing the eigenvalues. Consider the Spectral decomposition, X’X = P P’, and define α = P’β, X=XP, and c =X’y. then model 1 can be written as : y = X α + ε and the OLS estimator of α as : α =X’X -1 X’y = P’X’XP -1 c = -1 .c In scalar notion we have : i i i c α λ = , i = 1,2,…,P ……………………4 It easily follows from 3 that the principle of ridge regression is to add a constant k to denominator of 4 to obtain : r i i i c k α λ = + …………………….5 Ridge regression will yield lower mean square error MSE than OLS because the bias squared of β would increase with the square of the true value. Because the level of k has a marked influenced on the MSE of the estimated parameter, selection of k is an important considerations. Although there always exists a k0 such that a smaller SME can be obtained from ridge regression that from ordinary least squares, the best method for selecting a particular value of k is not obvious. Hoerl and Kennard seem to place the most reliance on the ridge trace. They claimed that “best on experience, the best method for achieving a better estimate of β is to use k i = k for all i and use the Ridge Trace to select a single value of k and a unique β . Hoerl and Kennard than indicate several considerations that can be used as a guide to a choice of a particular k value : stability of a system as k is increased, reasonable absolute values and signs of the estimated coefficients, and a reasonable variance of regression as indicated by the residual sum of squares. Several researchers had applied the ridge regression to some economic models. Brown and Beattie 1975 improved the estimation of the parameters in Cobb Douglas function by use of ridge regression. They estimated Ruttan’s Cobb-Douglas Function to measure the effect of irrigation on the output of irrigated Cropland in 1956. Overall, their findings indicate that the ridge estimation appears to have promise for estimating Cobb-Douglas Production Function p.31. Watson and White 1976 applied ridge regression in forecasting demand for money under changing term structure of interest rate in USA. The results indicated that ridge regression can be a better predictor than OLS in the presence of multicollinearity. Ridge regression is useful not only in estimating the term structure of interest rate but in many applications in larger scale econometrics models. Sedlacek and Brooks 1976 postulated non-cognitive variables that are predictive of minority student academic success. Tracey and Sedlacek in press developed a brief questionnaire, the Non- Cognitive Questionnaire NCQ, to assess these variables and found eight non-cognitive factors to be highly predictive of grades and enrollment status for both whites and blacks above and beyond using SAT scores alone. But, it was also found that these variables shared a high degree of variance with the SAT scores, so there was a fairly high degree of multicollinearity. It was felt that these ten variables SATV, SATM, and the eight non-cognitive factors would be an ideal application of ridge regression. Tracey, Sedlacek, and Miars 1983 compared ridge regression and least squares regression in predicting freshman year cumulative grade point average GPA based on SAT scores and high school GPA. They found that ridge regression resulted in cross validated correlations similar to those found by using ordinary least squares regression. The failure of ridge regression to yield less shrinkage over OLS regression was postulated to have been due to a relatively low ratio of the number of predictors p to sample size n used in the study. Faden 1978 found that the key dimension where ridge regression proved superior to OLS regression was where the pn ratio was high.

# 1
# SbS4N4Cl5
Calculated X-ray powder pattern, a wavelength of 1.5418 Å. Input: a PBE-relaxed structure.
Peak positions follow from Bragg's law for the DFT cell and can differ from measured ones.

Largest 10 diffraction maxima, low angle first, 2θ = 10–80°:
two_theta  I_rel
13.45  64
14.33  100
14.74  20
18.53  14
20.72  16
23.50  23
24.00  30
29.75  15
31.45  14
36.51  14

Atomic structure:
Cell lengths 7.3630, 13.0820, 15.9716 Å; angles 90.00, 107.34, 90.00 degrees
Fractional positions:
Sb: 0.1699 0.2142 0.0981
Sb: 0.1699 0.2858 0.5981
Sb: 0.8301 0.7142 0.4019
Sb: 0.8301 0.7858 0.9019
S: 0.1529 0.5117 0.7037
S: 0.1529 0.9883 0.2037
S: 0.2915 0.5875 0.1872
S: 0.2915 0.9125 0.6872
S: 0.3705 0.0690 0.3788
S: 0.3705 0.4310 0.8788
S: 0.4686 0.0067 0.1415
S: 0.4686 0.4933 0.6415
S: 0.5314 0.5067 0.3585
S: 0.5314 0.9933 0.8585
S: 0.6295 0.5690 0.1212
S: 0.6295 0.9310 0.6212
S: 0.7085 0.0875 0.3128
S: 0.7085 0.4125 0.8128
S: 0.8471 0.0117 0.7963
S: 0.8471 0.4883 0.2963
N: 0.2191 0.0077 0.3069
N: 0.2191 0.4923 0.8069
N: 0.2734 0.0611 0.1533
N: 0.2734 0.4389 0.6533
N: 0.3490 0.5322 0.2780
N: 0.3490 0.9678 0.7780
N: 0.4503 0.6173 0.1425
N: 0.4503 0.8827 0.6425
N: 0.5497 0.1173 0.3575
N: 0.5497 0.3827 0.8575
N: 0.6510 0.0322 0.2220
N: 0.6510 0.4678 0.7220
N: 0.7266 0.5611 0.3467
N: 0.7266 0.9389 0.8467
N: 0.7809 0.5077 0.1931
N: 0.7809 0.9923 0.6931
Cl: 0.0566 0.1231 0.5359
Cl: 0.0566 0.3769 0.0359
Cl: 0.0956 0.2478 0.7324
Cl: 0.0956 0.2522 0.2324
Cl: 0.1386 0.6370 0.4603
Cl: 0.1386 0.8630 0.9603
Cl: 0.2562 0.1637 0.9697
Cl: 0.2562 0.3363 0.4697
Cl: 0.4886 0.2200 0.6611
Cl: 0.4886 0.2799 0.1611
Cl: 0.5114 0.7200 0.8389
Cl: 0.5114 0.7800 0.3389
Cl: 0.7438 0.6637 0.5303
Cl: 0.7438 0.8363 0.0303
Cl: 0.8614 0.1370 0.0397
Cl: 0.8614 0.3630 0.5397
Cl: 0.9044 0.7478 0.7676
Cl: 0.9044 0.7522 0.2676
Cl: 0.9434 0.6231 0.9641
Cl: 0.9434 0.8769 0.4641

# 2
# Sr6Nb7O21
Calculated X-ray powder pattern, a wavelength of 1.5418 Å. Input: a PBE-relaxed structure.
Peak positions follow from Bragg's law for the DFT cell and can differ from measured ones.

Largest 10 diffraction maxima, low angle first, 2θ = 10–80°:
two_theta  I_rel
11.63  3
14.23  2
21.83  9
31.07  100
38.30  1
44.51  36
50.11  3
55.28  39
64.78  21
73.58  17

Atomic structure:
Cell lengths 9.0988, 9.0988, 9.0988 Å; angles 113.56, 113.56, 113.56 degrees
Fractional positions:
Sr: 0.0678 0.7847 0.6424
Sr: 0.2153 0.3576 0.9322
Sr: 0.3576 0.9322 0.2153
Sr: 0.6424 0.0678 0.7847
Sr: 0.7847 0.6424 0.0678
Sr: 0.9322 0.2153 0.3576
Nb: 0.0000 0.0000 0.0000
Nb: 0.1449 0.5690 0.2867
Nb: 0.2867 0.1449 0.5690
Nb: 0.4310 0.7133 0.8551
Nb: 0.5690 0.2867 0.1449
Nb: 0.7133 0.8551 0.4310
Nb: 0.8551 0.4310 0.7133
O: 0.0000 0.0000 0.5000
O: 0.0000 0.5000 0.0000
O: 0.0605 0.2801 0.1335
O: 0.1335 0.0605 0.2801
O: 0.1431 0.5718 0.7856
O: 0.2144 0.8569 0.4282
O: 0.2801 0.1335 0.0605
O: 0.2802 0.6462 0.5732
O: 0.3538 0.4268 0.7198
O: 0.4268 0.7198 0.3538
O: 0.4282 0.2144 0.8569
O: 0.5000 0.0000 0.0000
O: 0.5718 0.7856 0.1431

III. Design of The Experiment